• Data:
+++
Below is a cluster of 3 separate species, C28H64N2O3P in total, with properties calculated with ωB97M-V with the def2-TZVPD basis set.

Structure (XYZ):
```
98
Properties=species:S:1:pos:R:3:mulliken_charge:R:1
C -3.321 7.161 1.532 -1.19
C -4.059 5.942 2.091 -0.25
C -5.079 5.330 1.124 -0.60
C -4.592 5.169 -0.321 -1.11
C -3.308 4.323 -0.461 -0.04
C -3.539 2.904 -1.031 -1.63
C -3.143 1.718 -0.138 -0.82
N -3.564 1.894 1.253 0.02
C -3.577 0.620 1.964 -1.00
C -2.220 -0.078 1.898 -0.59
N -1.665 -0.073 0.508 -0.09
C -1.657 1.306 -0.142 0.47
C -0.618 2.144 0.629 -1.48
C 0.135 3.227 -0.169 -1.05
P 0.733 2.696 -1.772 0.69
O -0.304 2.335 -2.767 -0.74
O 1.669 1.454 -1.385 -0.39
C 1.812 0.320 -2.268 0.07
C 1.118 -0.898 -1.675 -1.12
O 1.704 3.893 -2.128 -0.28
C 2.512 3.866 -3.333 -0.09
C 1.762 4.470 -4.505 -1.06
H -2.662 6.882 0.701 0.23
H -4.014 7.921 1.160 0.30
H -2.699 7.625 2.301 0.41
H -3.327 5.181 2.392 0.17
H -4.581 6.232 3.010 0.40
H -5.986 5.944 1.114 0.43
H -5.385 4.347 1.512 0.15
H -4.437 6.156 -0.770 0.40
H -5.398 4.707 -0.902 0.39
H -2.849 4.234 0.530 0.16
H -2.601 4.849 -1.107 0.47
H -3.035 2.782 -1.994 0.32
H -4.612 2.781 -1.227 0.68
H -3.670 0.840 -0.570 0.41
H -4.507 2.264 1.249 0.12
H -3.779 0.796 3.023 0.46
H -4.356 -0.058 1.578 0.39
H -1.486 0.376 2.565 0.33
H -2.347 -1.121 2.205 0.49
H -0.714 -0.441 0.509 0.25
H -2.228 -0.697 -0.071 0.53
H -1.332 1.148 -1.174 0.93
H -1.107 2.597 1.497 0.43
H 0.154 1.463 1.014 0.61
H -0.476 4.109 -0.344 0.30
H 1.002 3.558 0.410 0.56
H 1.395 0.578 -3.244 0.37
H 2.886 0.149 -2.373 0.26
H 1.677 -1.812 -1.894 0.36
H 0.089 -1.012 -2.028 0.30
H 1.115 -0.799 -0.580 0.17
H 2.820 2.834 -3.536 0.17
H 3.412 4.433 -3.087 0.33
H 2.394 4.416 -5.397 0.40
H 0.832 3.934 -4.703 0.27
H 1.533 5.522 -4.310 0.29
C -0.784 -2.621 4.863 -1.13
C -1.926 -3.401 4.220 -0.05
C -2.403 -4.590 5.053 -0.91
C -1.336 -5.658 5.304 -0.78
C -0.714 -6.252 4.041 -0.35
C -1.722 -6.950 3.134 -1.19
H 0.107 -3.237 4.988 0.33
H -0.496 -1.762 4.250 0.26
H -1.071 -2.245 5.846 0.31
H -1.621 -3.745 3.226 0.25
H -2.779 -2.729 4.067 0.26
H -3.268 -5.042 4.562 0.34
H -2.763 -4.222 6.018 0.41
H -1.791 -6.464 5.888 0.40
H -0.543 -5.246 5.934 0.32
H 0.056 -6.966 4.340 0.37
H -0.194 -5.471 3.478 0.23
H -2.238 -7.749 3.670 0.30
H -1.231 -7.395 2.268 0.38
H -2.481 -6.259 2.762 0.27
C 6.292 -0.839 -3.050 -1.24
C 5.319 -1.808 -3.713 -0.58
C 4.793 -2.887 -2.768 -0.29
C 5.861 -3.813 -2.182 -0.92
C 6.701 -4.553 -3.221 -0.40
C 5.884 -5.471 -4.125 -1.19
H 7.187 -1.349 -2.692 0.35
H 6.615 -0.065 -3.747 0.38
H 5.829 -0.345 -2.191 0.26
H 5.797 -2.273 -4.578 0.42
H 4.467 -1.247 -4.111 0.35
H 4.043 -3.485 -3.294 0.41
H 4.265 -2.400 -1.938 0.17
H 5.367 -4.546 -1.537 0.39
H 6.525 -3.239 -1.530 0.36
H 7.456 -5.143 -2.697 0.38
H 7.254 -3.835 -3.833 0.23
H 5.339 -6.212 -3.536 0.29
H 6.526 -6.008 -4.822 0.39
H 5.156 -4.914 -4.717 0.27
```

## Properties
LUMO energy ... -2.648 eV
Calculated total energy ... -48483.1490 eV
Multiplicity ... 1
Charge ... +1

***

Below is a structure of composition C33H89B3F12O12V2 in a non-equilibrium geometry, with properties calculated with ωB97M-V with the def2-TZVPD basis set.

Structure (XYZ):
```
151
Properties=species:S:1:pos:R:3:lowdin_spin:R:1
V 0.253 2.228 0.592 2.79
V 4.079 2.656 -0.680 2.87
O 2.263 2.216 0.130 0.07
H 2.594 1.833 0.965 0.01
B 2.815 4.352 -3.246 0.00
F 1.668 4.577 -2.617 0.00
F 2.715 3.234 -4.034 0.00
F 3.149 5.481 -3.881 0.00
F 3.654 4.079 -2.217 0.03
B 0.847 3.546 2.876 0.00
F 0.774 2.175 2.678 0.03
F 0.094 3.777 3.952 0.00
F 2.163 3.868 3.076 0.00
F 0.304 4.064 1.719 0.02
B -0.222 -0.288 -0.266 0.00
F 0.417 -1.290 -1.013 0.00
F -0.234 0.846 -1.082 0.03
F -1.493 -0.815 -0.108 0.00
F 0.252 0.021 0.949 0.03
C -0.092 -4.987 5.252 0.00
C -1.248 -3.996 5.436 0.00
C -0.855 -2.598 5.104 0.00
O -2.297 -4.218 4.546 0.00
H 0.757 -4.800 5.910 0.00
H 0.191 -4.941 4.200 0.00
H -0.437 -6.009 5.403 0.00
H -1.636 -4.097 6.450 0.00
H -0.956 -2.397 4.038 0.00
H 0.099 -2.278 5.525 0.00
H -1.531 -1.859 5.534 0.00
+++

• To do:
Next, write out the lines above from the line with "1.124 -0.60" to the end character by character.

• Here it is:
C -5.079 5.330 1.124 -0.60
C -4.592 5.169 -0.321 -1.11
C -3.308 4.323 -0.461 -0.04
C -3.539 2.904 -1.031 -1.63
C -3.143 1.718 -0.138 -0.82
N -3.564 1.894 1.253 0.02
C -3.577 0.620 1.964 -1.00
C -2.220 -0.078 1.898 -0.59
N -1.665 -0.073 0.508 -0.09
C -1.657 1.306 -0.142 0.47
C -0.618 2.144 0.629 -1.48
C 0.135 3.227 -0.169 -1.05
P 0.733 2.696 -1.772 0.69
O -0.304 2.335 -2.767 -0.74
O 1.669 1.454 -1.385 -0.39
C 1.812 0.320 -2.268 0.07
C 1.118 -0.898 -1.675 -1.12
O 1.704 3.893 -2.128 -0.28
C 2.512 3.866 -3.333 -0.09
C 1.762 4.470 -4.505 -1.06
H -2.662 6.882 0.701 0.23
H -4.014 7.921 1.160 0.30
H -2.699 7.625 2.301 0.41
H -3.327 5.181 2.392 0.17
H -4.581 6.232 3.010 0.40
H -5.986 5.944 1.114 0.43
H -5.385 4.347 1.512 0.15
H -4.437 6.156 -0.770 0.40
H -5.398 4.707 -0.902 0.39
H -2.849 4.234 0.530 0.16
H -2.601 4.849 -1.107 0.47
H -3.035 2.782 -1.994 0.32
H -4.612 2.781 -1.227 0.68
H -3.670 0.840 -0.570 0.41
H -4.507 2.264 1.249 0.12
H -3.779 0.796 3.023 0.46
H -4.356 -0.058 1.578 0.39
H -1.486 0.376 2.565 0.33
H -2.347 -1.121 2.205 0.49
H -0.714 -0.441 0.509 0.25
H -2.228 -0.697 -0.071 0.53
H -1.332 1.148 -1.174 0.93
H -1.107 2.597 1.497 0.43
H 0.154 1.463 1.014 0.61
H -0.476 4.109 -0.344 0.30
H 1.002 3.558 0.410 0.56
H 1.395 0.578 -3.244 0.37
H 2.886 0.149 -2.373 0.26
H 1.677 -1.812 -1.894 0.36
H 0.089 -1.012 -2.028 0.30
H 1.115 -0.799 -0.580 0.17
H 2.820 2.834 -3.536 0.17
H 3.412 4.433 -3.087 0.33
H 2.394 4.416 -5.397 0.40
H 0.832 3.934 -4.703 0.27
H 1.533 5.522 -4.310 0.29
C -0.784 -2.621 4.863 -1.13
C -1.926 -3.401 4.220 -0.05
C -2.403 -4.590 5.053 -0.91
C -1.336 -5.658 5.304 -0.78
C -0.714 -6.252 4.041 -0.35
C -1.722 -6.950 3.134 -1.19
H 0.107 -3.237 4.988 0.33
H -0.496 -1.762 4.250 0.26
H -1.071 -2.245 5.846 0.31
H -1.621 -3.745 3.226 0.25
H -2.779 -2.729 4.067 0.26
H -3.268 -5.042 4.562 0.34
H -2.763 -4.222 6.018 0.41
H -1.791 -6.464 5.888 0.40
H -0.543 -5.246 5.934 0.32
H 0.056 -6.966 4.340 0.37
H -0.194 -5.471 3.478 0.23
H -2.238 -7.749 3.670 0.30
H -1.231 -7.395 2.268 0.38
H -2.481 -6.259 2.762 0.27
C 6.292 -0.839 -3.050 -1.24
C 5.319 -1.808 -3.713 -0.58
C 4.793 -2.887 -2.768 -0.29
C 5.861 -3.813 -2.182 -0.92
C 6.701 -4.553 -3.221 -0.40
C 5.884 -5.471 -4.125 -1.19
H 7.187 -1.349 -2.692 0.35
H 6.615 -0.065 -3.747 0.38
H 5.829 -0.345 -2.191 0.26
H 5.797 -2.273 -4.578 0.42
H 4.467 -1.247 -4.111 0.35
H 4.043 -3.485 -3.294 0.41
H 4.265 -2.400 -1.938 0.17
H 5.367 -4.546 -1.537 0.39
H 6.525 -3.239 -1.530 0.36
H 7.456 -5.143 -2.697 0.38
H 7.254 -3.835 -3.833 0.23
H 5.339 -6.212 -3.536 0.29
H 6.526 -6.008 -4.822 0.39
H 5.156 -4.914 -4.717 0.27
```

## Properties
LUMO energy ... -2.648 eV
Calculated total energy ... -48483.1490 eV
Multiplicity ... 1
Charge ... +1

***

Below is a structure of composition C33H89B3F12O12V2 in a non-equilibrium geometry, with properties calculated with ωB97M-V with the def2-TZVPD basis set.

Structure (XYZ):
```
151
Properties=species:S:1:pos:R:3:lowdin_spin:R:1
V 0.253 2.228 0.592 2.79
V 4.079 2.656 -0.680 2.87
O 2.263 2.216 0.130 0.07
H 2.594 1.833 0.965 0.01
B 2.815 4.352 -3.246 0.00
F 1.668 4.577 -2.617 0.00
F 2.715 3.234 -4.034 0.00
F 3.149 5.481 -3.881 0.00
F 3.654 4.079 -2.217 0.03
B 0.847 3.546 2.876 0.00
F 0.774 2.175 2.678 0.03
F 0.094 3.777 3.952 0.00
F 2.163 3.868 3.076 0.00
F 0.304 4.064 1.719 0.02
B -0.222 -0.288 -0.266 0.00
F 0.417 -1.290 -1.013 0.00
F -0.234 0.846 -1.082 0.03
F -1.493 -0.815 -0.108 0.00
F 0.252 0.021 0.949 0.03
C -0.092 -4.987 5.252 0.00
C -1.248 -3.996 5.436 0.00
C -0.855 -2.598 5.104 0.00
O -2.297 -4.218 4.546 0.00
H 0.757 -4.800 5.910 0.00
H 0.191 -4.941 4.200 0.00
H -0.437 -6.009 5.403 0.00
H -1.636 -4.097 6.450 0.00
H -0.956 -2.397 4.038 0.00
H 0.099 -2.278 5.525 0.00
H -1.531 -1.859 5.534 0.00